Exercise
Could you retype the lines underneath with every line break kept?
File
____________
# 1
VASP calculation (GGA-PBE) on a geometry-optimized SrTiSi structure.

Calculated values
As for the uncorrected formation energy: 1 meV per atom. For the total energy, the calculation gives -4.999 eV/atom. The density of states at the Fermi level comes out at 0.934 states/eV per atom.

a = 11.312 Å, b = 5.045 Å, c = 5.043 Å
α = 90.00°, β = 90.00°, γ = 90.00°
Sites, in units of the cell vectors:
Sr: 0.177 0.000 0.000
Sr: 0.177 0.500 0.500
Sr: 0.823 0.000 0.000
Sr: 0.823 0.500 0.500
Ti: 0.407 0.000 0.501
Ti: 0.407 0.500 0.001
Ti: 0.593 0.000 0.501
Ti: 0.593 0.500 0.001
Si: 0.000 0.000 0.500
Si: 0.000 0.500 0.000
Si: 0.500 0.000 0.001
Si: 0.500 0.500 0.501

# 2
VASP calculation (GGA-PBE) on a geometry-optimized Ta2Ti5ZnFe2 structure.

Calculated values
For the total energy, the calculation gives -8.236 eV/atom. The density of states at the Fermi level comes out at 1.189 states/eV per atom. The formation enthalpy at 0 K is -2.270 kcal/mol of atoms.

a = 10.256 Å, b = 10.256 Å, c = 3.011 Å
α = 90.00°, β = 90.00°, γ = 90.00°
Sites, in units of the cell vectors:
Ta: 0.176 0.324 0.000
Ta: 0.324 0.824 0.000
Ta: 0.676 0.176 0.000
Ta: 0.824 0.676 0.000
Ti: 0.000 0.500 0.500
Ti: 0.059 0.793 0.500
Ti: 0.207 0.059 0.500
Ti: 0.293 0.559 0.500
Ti: 0.441 0.293 0.500
Ti: 0.500 0.000 0.500
Ti: 0.559 0.707 0.500
Ti: 0.707 0.441 0.500
Ti: 0.793 0.941 0.500
Ti: 0.941 0.207 0.500
Zn: 0.000 0.000 0.000
Zn: 0.500 0.500 0.000
Fe: 0.131 0.631 0.000
Fe: 0.369 0.131 0.000
Fe: 0.631 0.869 0.000
Fe: 0.869 0.369 0.000

# 3
VASP calculation (GGA-PBE) on a geometry-optimized Ho3Al2Ga2 structure.

Calculated values
For the total energy, the calculation gives -4.401 eV/atom. The density of states at the Fermi level comes out at 0.695 states/eV per atom. The formation enthalpy at 0 K is -11.640 kcal/mol of atoms.

a = 3.811 Å, b = 4.332 Å, c = 19.082 Å
α = 90.00°, β = 90.00°, γ = 90.00°
Sites, in units of the cell vectors:
Ho: 0.000 0.000 0.000
Ho: 0.000 0.500 0.192
Ho: 0.000 0.500 0.808
Ho: 0.500 0.000 0.308
Ho: 0.500 0.000 0.692
Ho: 0.500 0.500 0.500
Al: 0.000 0.500 0.360
Al: 0.000 0.500 0.640
Al: 0.500 0.000 0.140
Al: 0.500 0.000 0.860
Ga: 0.000 0.000 0.434
Ga: 0.000 0.000 0.566
Ga: 0.500 0.500 0.066
Ga: 0.500 0.500 0.934

# 4
VASP calculation (GGA-PBE) on a geometry-optimized Sr2ZrAg2 structure.

Calculated values
For the total energy, the calculation gives -3.444 eV/atom. The density of states at the Fermi level comes out at 0.646 states/eV per atom. The formation enthalpy at 0 K is 1.808 kcal/mol of atoms.

a = 7.616 Å, b = 7.616 Å, c = 5.077 Å
α = 90.00°, β = 90.00°, γ = 90.00°
Sites, in units of the cell vectors:
Sr: 0.175 0.325 0.000
Sr: 0.325 0.825 0.000
Sr: 0.675 0.175 0.000
Sr: 0.825 0.675 0.000
Zr: 0.000 0.000 0.500
Zr: 0.500 0.500 0.500
Ag: 0.134 0.634 0.500
Ag: 0.366 0.134 0.500
Ag: 0.634 0.866 0.500
Ag: 0.866 0.366 0.500

# 5
VASP calculation (GGA-PBE) on a geometry-optimized MgTaAl2 structure.

Calculated values
For the total energy, the calculation gives -5.308 eV/atom. The density of states at the Fermi level comes out at 0.484 states/eV per atom. The formation enthalpy at 0 K is -1.724 kcal/mol of atoms.

a = 2.985 Å, b = 3.996 Å, c = 5.872 Å
α = 90.00°, β = 90.00°, γ = 90.00°
Sites, in units of the cell vectors:
Mg: 0.000 0.000 0.000
Ta: 0.000 0.000 0.500
Al: 0.500 0.500 0.265
Al: 0.500 0.500 0.735

# 6
VASP calculation (GGA-PBE) on a geometry-optimized SmY3Ho7 structure.

Calculated values
For the total energy, the calculation gives -4.949 eV/atom. The value obtained for the offset from the most stable computed form is 0.00 eV per formula unit. The density of states at the Fermi level comes out at 1.679 states/eV per atom. The formation enthalpy at 0 K is 3.598 kcal/mol of atoms.

a = 6.974 Å, b = 5.528 Å, c = 9.895 Å
α = 90.00°, β = 110.48°, γ = 90.00°
Sites, in units of the cell vectors:
Sm: 0.000 0.000 0.000
Y: 0.279 0.500 0.499
Y: 0.500 0.000 0.000
Y: 0.721 0.500 0.501
Ho: 0.000 0.000 0.500
Ho: 0.145 0.500 0.792
Ho: 0.323 0.500 0.142
____________
Response
# 1
VASP calculation (GGA-PBE) on a geometry-optimized SrTiSi structure.

Calculated values
As for the uncorrected formation energy: 1 meV per atom. For the total energy, the calculation gives -4.999 eV/atom. The density of states at the Fermi level comes out at 0.934 states/eV per atom.

a = 11.312 Å, b = 5.045 Å, c = 5.043 Å
α = 90.00°, β = 90.00°, γ = 90.00°
Sites, in units of the cell vectors:
Sr: 0.177 0.000 0.000
Sr: 0.177 0.500 0.500
Sr: 0.823 0.000 0.000
Sr: 0.823 0.500 0.500
Ti: 0.407 0.000 0.501
Ti: 0.407 0.500 0.001
Ti: 0.593 0.000 0.501
Ti: 0.593 0.500 0.001
Si: 0.000 0.000 0.500
Si: 0.000 0.500 0.000
Si: 0.500 0.000 0.001
Si: 0.500 0.500 0.501

# 2
VASP calculation (GGA-PBE) on a geometry-optimized Ta2Ti5ZnFe2 structure.

Calculated values
For the total energy, the calculation gives -8.236 eV/atom. The density of states at the Fermi level comes out at 1.189 states/eV per atom. The formation enthalpy at 0 K is -2.270 kcal/mol of atoms.

a = 10.256 Å, b = 10.256 Å, c = 3.011 Å
α = 90.00°, β = 90.00°, γ = 90.00°
Sites, in units of the cell vectors:
Ta: 0.176 0.324 0.000
Ta: 0.324 0.824 0.000
Ta: 0.676 0.176 0.000
Ta: 0.824 0.676 0.000
Ti: 0.000 0.500 0.500
Ti: 0.059 0.793 0.500
Ti: 0.207 0.059 0.500
Ti: 0.293 0.559 0.500
Ti: 0.441 0.293 0.500
Ti: 0.500 0.000 0.500
Ti: 0.559 0.707 0.500
Ti: 0.707 0.441 0.500
Ti: 0.793 0.941 0.500
Ti: 0.941 0.207 0.500
Zn: 0.000 0.000 0.000
Zn: 0.500 0.500 0.000
Fe: 0.131 0.631 0.000
Fe: 0.369 0.131 0.000
Fe: 0.631 0.869 0.000
Fe: 0.869 0.369 0.000

# 3
VASP calculation (GGA-PBE) on a geometry-optimized Ho3Al2Ga2 structure.

Calculated values
For the total energy, the calculation gives -4.401 eV/atom. The density of states at the Fermi level comes out at 0.695 states/eV per atom. The formation enthalpy at 0 K is -11.640 kcal/mol of atoms.

a = 3.811 Å, b = 4.332 Å, c = 19.082 Å
α = 90.00°, β = 90.00°, γ = 90.00°
Sites, in units of the cell vectors:
Ho: 0.000 0.000 0.000
Ho: 0.000 0.500 0.192
Ho: 0.000 0.500 0.808
Ho: 0.500 0.000 0.308
Ho: 0.500 0.000 0.692
Ho: 0.500 0.500 0.500
Al: 0.000 0.500 0.360
Al: 0.000 0.500 0.640
Al: 0.500 0.000 0.140
Al: 0.500 0.000 0.860
Ga: 0.000 0.000 0.434
Ga: 0.000 0.000 0.566
Ga: 0.500 0.500 0.066
Ga: 0.500 0.500 0.934

# 4
VASP calculation (GGA-PBE) on a geometry-optimized Sr2ZrAg2 structure.

Calculated values
For the total energy, the calculation gives -3.444 eV/atom. The density of states at the Fermi level comes out at 0.646 states/eV per atom. The formation enthalpy at 0 K is 1.808 kcal/mol of atoms.

a = 7.616 Å, b = 7.616 Å, c = 5.077 Å
α = 90.00°, β = 90.00°, γ = 90.00°
Sites, in units of the cell vectors:
Sr: 0.175 0.325 0.000
Sr: 0.325 0.825 0.000
Sr: 0.675 0.175 0.000
Sr: 0.825 0.675 0.000
Zr: 0.000 0.000 0.500
Zr: 0.500 0.500 0.500
Ag: 0.134 0.634 0.500
Ag: 0.366 0.134 0.500
Ag: 0.634 0.866 0.500
Ag: 0.866 0.366 0.500

# 5
VASP calculation (GGA-PBE) on a geometry-optimized MgTaAl2 structure.

Calculated values
For the total energy, the calculation gives -5.308 eV/atom. The density of states at the Fermi level comes out at 0.484 states/eV per atom. The formation enthalpy at 0 K is -1.724 kcal/mol of atoms.

a = 2.985 Å, b = 3.996 Å, c = 5.872 Å
α = 90.00°, β = 90.00°, γ = 90.00°
Sites, in units of the cell vectors:
Mg: 0.000 0.000 0.000
Ta: 0.000 0.000 0.500
Al: 0.500 0.500 0.265
Al: 0.500 0.500 0.735

# 6
VASP calculation (GGA-PBE) on a geometry-optimized SmY3Ho7 structure.

Calculated values
For the total energy, the calculation gives -4.949 eV/atom. The value obtained for the offset from the most stable computed form is 0.00 eV per formula unit. The density of states at the Fermi level comes out at 1.679 states/eV per atom. The formation enthalpy at 0 K is 3.598 kcal/mol of atoms.

a = 6.974 Å, b = 5.528 Å, c = 9.895 Å
α = 90.00°, β = 110.48°, γ = 90.00°
Sites, in units of the cell vectors:
Sm: 0.000 0.000 0.000
Y: 0.279 0.500 0.499
Y: 0.500 0.000 0.000
Y: 0.721 0.500 0.501
Ho: 0.000 0.000 0.500
Ho: 0.145 0.500 0.792
Ho: 0.323 0.500 0.142